Listing:
********
<w>
Here is Li3V2P3O12 after structural relaxation from Materials Project. Energies are from PBE with a Hubbard U.

abc: 8.7401 8.7531 14.9733
angles: 54.86 90.00 90.00
Fractional coordinates of all 80 atoms:
O (0.7635, 0.4755, 0.6861)
O (0.5908, 0.5999, 0.8314)
O (0.5017, 0.0859, 0.2190)
O (0.4487, 0.3683, 0.4591)
O (0.5513, 0.6317, 0.5409)
O (0.2841, 0.1788, 0.6804)
O (0.9983, 0.0859, 0.7190)
O (0.8860, 0.2797, 0.1484)
O (0.9127, 0.6754, 0.4721)
O (0.3310, 0.7620, 0.0700)
O (0.6140, 0.2797, 0.6484)
O (0.7841, 0.8212, 0.8196)
O (0.6690, 0.2380, 0.9300)
O (0.0196, 0.4093, 0.2378)
O (0.2365, 0.5245, 0.3139)
O (0.3209, 0.9731, 0.5962)
O (0.3643, 0.9637, 0.4278)
O (0.8209, 0.0269, 0.9038)
O (0.2159, 0.1788, 0.1804)
O (0.8310, 0.2380, 0.4300)
O (0.5873, 0.6754, 0.9721)
O (0.1690, 0.7620, 0.5700)
O (0.1791, 0.9731, 0.0962)
O (0.4127, 0.3246, 0.0279)
O (0.7365, 0.4755, 0.1861)
O (0.0513, 0.3683, 0.9591)
O (0.8643, 0.0363, 0.0722)
O (0.0017, 0.9141, 0.2810)
O (0.0873, 0.3246, 0.5279)
O (0.7159, 0.8212, 0.3196)
O (0.8665, 0.8857, 0.5654)
O (0.2635, 0.5245, 0.8139)
O (0.4092, 0.4001, 0.1686)
O (0.1140, 0.7203, 0.8516)
O (0.4804, 0.4093, 0.7378)
O (0.6791, 0.0269, 0.4038)
O (0.6357, 0.0363, 0.5722)
O (0.1335, 0.1143, 0.4346)
O (0.0908, 0.4001, 0.6686)
O (0.3860, 0.7203, 0.3516)
O (0.6335, 0.8857, 0.0654)
O (0.1357, 0.9637, 0.9278)
O (0.9804, 0.5907, 0.7622)
O (0.5196, 0.5907, 0.2622)
O (0.3665, 0.1143, 0.9346)
O (0.9092, 0.5999, 0.3314)
O (0.4983, 0.9141, 0.7810)
O (0.9487, 0.6317, 0.0409)
P (0.7489, 0.0444, 0.9921)
P (0.3973, 0.5427, 0.3516)
P (0.2489, 0.9556, 0.5079)
P (0.3845, 0.2480, 0.1475)
P (0.7511, 0.0444, 0.4921)
P (0.1027, 0.5427, 0.8516)
P (0.2511, 0.9556, 0.0079)
P (0.1155, 0.2480, 0.6475)
P (0.6027, 0.4573, 0.6484)
P (0.8845, 0.7520, 0.3525)
P (0.8973, 0.4573, 0.1484)
P (0.6155, 0.7520, 0.8525)
Li (0.2218, 0.5270, 0.1768)
Li (0.8078, 0.1895, 0.7400)
Li (0.3078, 0.8105, 0.7600)
Li (0.4117, 0.1136, 0.8063)
Li (0.6922, 0.1895, 0.2400)
Li (0.5883, 0.8864, 0.1937)
Li (0.9117, 0.8864, 0.6937)
Li (0.2782, 0.5270, 0.6768)
Li (0.7782, 0.4730, 0.8232)
Li (0.7218, 0.4730, 0.3232)
Li (0.0883, 0.1136, 0.3063)
Li (0.1922, 0.8105, 0.2600)
V (0.4608, 0.3622, 0.8896)
V (0.0290, 0.1380, 0.1101)
V (0.5290, 0.8620, 0.3899)
V (0.9608, 0.6378, 0.6104)
V (0.4710, 0.1380, 0.6101)
V (0.0392, 0.3622, 0.3896)
V (0.5392, 0.6378, 0.1104)
V (0.9710, 0.8620, 0.8899)

Results
The theoretical density comes out at 2.89 g cm⁻³.



<x>
Here is Li3V2P3O12 after structural relaxation from Materials Project. Energies are from PBE with a Hubbard U.

abc: 8.6042 8.6042 6.3862
angles: 74.03 74.03 93.77
Fractional coordinates of all 40 atoms:
O (0.6589, 0.9885, 0.9108)
O (0.2621, 0.5389, 0.7325)
O (0.1552, 0.1575, 0.8904)
O (0.4553, 0.2962, 0.7974)
O (0.0115, 0.3411, 0.5892)
O (0.8448, 0.8425, 0.1096)
O (0.2556, 0.8300, 0.5334)
O (0.8425, 0.8448, 0.6096)
O (0.7379, 0.4611, 0.2675)
O (0.2962, 0.4553, 0.2974)
O (0.1575, 0.1552, 0.3904)
O (0.5447, 0.7038, 0.2026)
O (0.4611, 0.7379, 0.7675)
O (0.8300, 0.2556, 0.0334)
O (0.0514, 0.4000, 0.1714)
O (0.7444, 0.1700, 0.4666)
O (0.1700, 0.7444, 0.9666)
O (0.9885, 0.6589, 0.4108)
O (0.3411, 0.0115, 0.0892)
O (0.9486, 0.6000, 0.8286)
O (0.6000, 0.9486, 0.3286)
O (0.4000, 0.0514, 0.6714)
O (0.7038, 0.5447, 0.7026)
O (0.5389, 0.2621, 0.2325)
P (0.3390, 0.1374, 0.8625)
P (0.8626, 0.6610, 0.6375)
P (0.2845, 0.7155, 0.7500)
P (0.7155, 0.2845, 0.2500)
P (0.6610, 0.8626, 0.1375)
P (0.1374, 0.3390, 0.3625)
Li (0.5000, 0.5000, 0.5000)
Li (0.0093, 0.9907, 0.7500)
Li (0.2861, 0.7139, 0.2500)
Li (0.5000, 0.5000, 0.0000)
Li (0.9907, 0.0093, 0.2500)
Li (0.7139, 0.2861, 0.7500)
V (0.6202, 0.9427, 0.6426)
V (0.3798, 0.0573, 0.3574)
V (0.9427, 0.6202, 0.1426)
V (0.0573, 0.3798, 0.8574)

Results
The theoretical density comes out at 3.13 g cm⁻³.



<y>
Here is Li3V2P3O12 after structural relaxation from Materials Project. Energies are from PBE with a Hubbard U.

abc: 8.6503 8.6503 8.6905
angles: 61.52 61.52 60.98
********
Request:
Now give back the contents further up from the line with "all 40" to the end word for word.
Outcome:
Fractional coordinates of all 40 atoms:
O (0.6589, 0.9885, 0.9108)
O (0.2621, 0.5389, 0.7325)
O (0.1552, 0.1575, 0.8904)
O (0.4553, 0.2962, 0.7974)
O (0.0115, 0.3411, 0.5892)
O (0.8448, 0.8425, 0.1096)
O (0.2556, 0.8300, 0.5334)
O (0.8425, 0.8448, 0.6096)
O (0.7379, 0.4611, 0.2675)
O (0.2962, 0.4553, 0.2974)
O (0.1575, 0.1552, 0.3904)
O (0.5447, 0.7038, 0.2026)
O (0.4611, 0.7379, 0.7675)
O (0.8300, 0.2556, 0.0334)
O (0.0514, 0.4000, 0.1714)
O (0.7444, 0.1700, 0.4666)
O (0.1700, 0.7444, 0.9666)
O (0.9885, 0.6589, 0.4108)
O (0.3411, 0.0115, 0.0892)
O (0.9486, 0.6000, 0.8286)
O (0.6000, 0.9486, 0.3286)
O (0.4000, 0.0514, 0.6714)
O (0.7038, 0.5447, 0.7026)
O (0.5389, 0.2621, 0.2325)
P (0.3390, 0.1374, 0.8625)
P (0.8626, 0.6610, 0.6375)
P (0.2845, 0.7155, 0.7500)
P (0.7155, 0.2845, 0.2500)
P (0.6610, 0.8626, 0.1375)
P (0.1374, 0.3390, 0.3625)
Li (0.5000, 0.5000, 0.5000)
Li (0.0093, 0.9907, 0.7500)
Li (0.2861, 0.7139, 0.2500)
Li (0.5000, 0.5000, 0.0000)
Li (0.9907, 0.0093, 0.2500)
Li (0.7139, 0.2861, 0.7500)
V (0.6202, 0.9427, 0.6426)
V (0.3798, 0.0573, 0.3574)
V (0.9427, 0.6202, 0.1426)
V (0.0573, 0.3798, 0.8574)

Results
The theoretical density comes out at 3.13 g cm⁻³.



<y>
Here is Li3V2P3O12 after structural relaxation from Materials Project. Energies are from PBE with a Hubbard U.

abc: 8.6503 8.6503 8.6905
angles: 61.52 61.52 60.98